Green Cryptos: The Top Cryptocurrencies in 2024 That Are Environmentally Friendly

Let’s say you have ever discussed the Web3 movement or cryptocurrencies over dinner. If so, it’s possible that family members have told you that blockchain technology and Bitcoin (BTC) are bad for the environment and that there’s no such thing as a “green crypto”.

It’s time to dispel one of the most widespread falsehoods in the modern era. Blockchain technology doesn’t harm the environment. Certain blockchain transactions need less energy than a single Google search, despite the fact that consumers aren’t ready to hear it.

Yes, Bitcoin is undoubtedly not an environmentally friendly investment. However, this doesn’t mean that contemporary networks have to be portrayed negatively. In fact, a lot of blockchain networks are carbon neutral—probably more than your neighborhood bank can claim.

This post will examine what constitutes a sustainable cryptocurrency project and highlight the efforts being made by leading networks to combat the impacts of global warming and climate change.

What Characterizes an Eco-Friendly Blockchain?

Someone pasted data records at this point:
A relaxed structure of GaSnPS2O12. Source: the Materials Project, functional PBE-GGA.

Cell: 8.6234 8.6234 22.4037 Å, 90.18 90.18 60.05°
Element x y z (fractional)
Ga 0.0001 0.9999 0.0000
Ga 0.9999 0.0001 0.5000
Ga 0.3146 0.3398 0.1664
Ga 0.3398 0.3146 0.6664
Ga 0.6730 0.6787 0.8334
Ga 0.6787 0.6730 0.3334
Sn 0.3334 0.3336 0.8743
Sn 0.3336 0.3334 0.3743
Sn 0.6594 0.6772 0.5411
Sn 0.6772 0.6594 0.0411
Sn 0.9988 0.9992 0.2076
Sn 0.9992 0.9988 0.7076
P 0.0058 0.2820 0.1028
P 0.0415 0.6207 0.2700
P 0.2820 0.0058 0.6028
P 0.6207 0.0415 0.7700
P 0.6735 0.9566 0.4365
P 0.9566 0.6735 0.9365
S 0.0071 0.7030 0.6034
S 0.0387 0.3385 0.7698
S 0.2908 0.7054 0.1028
S 0.3385 0.0387 0.2698
S 0.3400 0.6203 0.7695
S 0.3742 0.9530 0.9370
S 0.3746 0.6711 0.4359
S 0.6203 0.3400 0.2695
S 0.6711 0.3746 0.9359
S 0.7030 0.0071 0.1034
S 0.7054 0.2908 0.6028
S 0.9530 0.3742 0.4370
O 0.0232 0.1747 0.7639
O 0.0230 0.8088 0.2628
O 0.0334 0.1651 0.0475
O 0.0346 0.7862 0.5504
O 0.1200 0.3707 0.7170
O 0.1289 0.5037 0.2151
O 0.1329 0.3582 0.4310
O 0.1437 0.5024 0.9290
O 0.1519 0.2981 0.8245
O 0.1594 0.5450 0.3270
O 0.1651 0.0334 0.5475
O 0.1671 0.5272 0.6135
O 0.1715 0.3012 0.1117
O 0.1747 0.0232 0.2639
O 0.1762 0.8011 0.7642
O 0.1772 0.7869 0.0501
O 0.1967 0.9724 0.9451
O 0.1978 0.8297 0.4448
O 0.2075 0.9640 0.6601
O 0.2182 0.8179 0.1577
O 0.2981 0.1519 0.3245
O 0.2976 0.5489 0.8243
O 0.3012 0.1715 0.6117
O 0.3124 0.5268 0.1118
O 0.3567 0.5081 0.4309
O 0.3582 0.1329 0.9310
O 0.3654 0.5097 0.7163
O 0.3707 0.1200 0.2170
O 0.4555 0.8406 0.8838
O 0.4594 0.6975 0.3828
O 0.4697 0.6915 0.0959
O 0.4700 0.8353 0.5978
O 0.4871 0.8785 0.9920
O 0.4882 0.6282 0.4908
O 0.4955 0.8600 0.2787
O 0.4994 0.6376 0.7796
O 0.5024 0.1437 0.4290
O 0.5037 0.1289 0.7151
O 0.5081 0.3567 0.9309
O 0.5097 0.3654 0.2163
O 0.5272 0.1671 0.1135
O 0.5268 0.3124 0.6118
O 0.5450 0.1594 0.8270
O 0.5489 0.2976 0.3243
O 0.6282 0.4882 0.9908
O 0.6287 0.8821 0.4929
O 0.6376 0.4994 0.2796
O 0.6375 0.8579 0.7788
O 0.6835 0.8450 0.0974
O 0.6915 0.4697 0.5959
O 0.6975 0.4594 0.8828
O 0.7025 0.8389 0.3818
O 0.7862 0.0346 0.0504
O 0.7869 0.1772 0.5501
O 0.8011 0.1762 0.2642
O 0.8088 0.0230 0.7628
O 0.8179 0.2182 0.6577
O 0.8185 0.9628 0.1578
O 0.8297 0.1978 0.9448
O 0.8353 0.4700 0.0978
O 0.8389 0.7025 0.8818
O 0.8388 0.9753 0.4479
O 0.8406 0.4555 0.3838
O 0.8450 0.6835 0.5974
O 0.8579 0.6375 0.2788
O 0.8600 0.4955 0.7787
O 0.8785 0.4871 0.4920
O 0.8821 0.6287 0.9929
O 0.9628 0.8185 0.6578
O 0.9640 0.2075 0.1601
O 0.9724 0.1967 0.4451
O 0.9753 0.8388 0.9479

Output
**Size of the total moment**: 0.00 μB per formula unit
**Formation enthalpy at 0 K**: -2.08 eV per atom
**Total DFT energy (no corrections)**: -6.31 eV/atom
**E (MP2020)**: -6.791 eV/atom

=====

# 1
VASP calculation (PBE-GGA) on an optimized crystal structure of DyAgGe.

Unit cell a=7.1688 b=7.1688 c=4.2286 alpha=90.00 beta=90.00 gamma=120.00
Space group P-62m (No. 189)
Inequivalent atoms, fractional coordinates:
1 Dy 0.0000 0.4168 0.0000 (multiplicity 3)
So much for the data records:

Legacy blockchains that consume a lot of energy have frequently been compared to ferocious beasts that leave enormous carbon imprints on the earth.

Although Bitcoin’s annual TWh statistics aren’t helping the environment and resemble the statistics of a small country, it’s absurd to think that every one of the blockchains and cryptocurrency assets is bad for the environment. It’s only about Bitcoin. Even though, due to its ability to facilitate quick, inexpensive, and anonymous transactions, Litecoin (LTC) is one of the most widely used altcoins for payment – additionally facilitating activities where people risk money, such as gambling on best-rated Litecoin betting sites in 2024 – it’s particularly labeled as a blockchain with high carbon emissions. According to research from Binance Square, before partnering with tech firm Metalpha Technology Holding Ltd, Litecoin ranked fourth among blockchains with the most CO2 emissions per transaction in 2022, behind Bitcoin, Polygon (MATIC), and Bitcoin Cash (BCH). The energy utilized per transaction (kWh) for Litecoin was 18.52, and the tons of CO2 per transaction were 0.01389.

Numerous networks in the sector are fervently committed to energy efficiency. For instance, compared to older networks, sustainable blockchains such as Cardano (ADA) and Solana (SOL) use a lot less energy for each transaction. This results in a lowered demand for power networks and a lessened reliance on fossil fuels, not to mention lower electricity costs from crypto mining and/or staking.

Consensus is one of the key components of blockchain technology that affects energy consumption. Transactions are added to the network and verified in this manner.

An environmentally conscious blockchain often has a wider sustainability vision in addition to the technical part. This could entail offsetting carbon emissions, purchasing carbon credits, and promoting renewable energy sources. The proportional size of the network must also be taken into account; smaller networks with lower utilization statistics may consume less energy, but their resilience to stress remains uncertain.

Proof-of-Stake versus Proof-of-Work

The majority of discussions about green cryptocurrency center on the consensus method employed to protect the network. Current Proof-of-Stake (PoS) networks use tens of thousands of times less energy than older Proof-of-Work (PoW) blockchains including Bitcoin and pre-merge Ethereum (ETH), which claim massive electrical consumption.

For what reason is that the case? Let’s quickly review what PoW and PoS are.

  • PoW: Imagine a massive digital mine where innumerable cryptocurrency miners are working nonstop to solve challenging arithmetic problems. The first person to figure it out gains cryptocurrency incentives and gets to add a block to the blockchain. Due to the high processing power requirements of the Bitcoin mining process, there’s a significant energy consumption and carbon impact.
  • PoS: Validator nodes in a proof-of-work consensus are selected to build blocks according to the quantity of coins they own and are prepared to “stake”, or lock up, as collateral. Comparable to a digital lottery, the more tickets (or coins) you own, the higher your chances are. What makes PoS so appealing? It’s an alternative that’s more ecologically friendly and energy-efficient because it significantly lowers the requirement for processing power.

PoS is definitely more energy-efficient than PoW, notwithstanding the claims of certain crypto purists that PoW is a more secure consensus technique. Ethereum’s network energy consumption dropped by 99.9% during “The Merge” when it switched from PoW to PoS, and it uses less energy annually than PayPal.

Leading Green Cryptocurrencies

Through the utilization of renewable energy sources, the adoption of energy-efficient consensus processes, and the mitigation of the environmental impact they have, these digital items are revolutionizing the contemporary definition of cryptocurrencies.

Who are the green trailblazers driving the transition to a sustainable future?


Unsurprisingly, the leading green cryptocurrency features a greenish branding and logo. Solana (SOL) is based on a novel consensus technique called Proof-of-History (PoH), which is an adaptation of the current PoS paradigm.

With this novel method, validations can be completed more quickly and with less energy usage. Imagine it as a proof system that verifies the chronological order of each transaction with no back-and-forth communication that is commonly observed in other blockchains.

Although Anatoly Yakovenko’s blockchain aggressively encourages partnerships with carbon offset companies and renewable energy sources, the network excels above its competitors due to its extremely low energy usage.

A single Solana transaction uses approximately 719 kilojoules (kJ), based on the Solana Foundation. That’s less energy than it takes to run just one Google search.

When you give it some thought, it’s incredible that you can transmit USD 1 million to anyone instantly over international borders with less electricity than it would take to do a simple Google search. However, many continue to believe that NFTs and digital currencies are harmful to the environment.


Another strong contender for the title of the No.1 green cryptocurrency is Cardano (ADA), which was established by Charles Hoskinson, a co-founder of Ethereum. Ouroboros, the world’s inaugural peer-reviewed, verifiably secure blockchain consensus, is the secret to Cardano’s success.

Energy usage is kept to a minimum thanks to this PoS method. Validators are selected according to the quantity of ADA they have contributed to the network, in contrast to a cutthroat cryptocurrency mining race. As a result, energy consumption is drastically reduced without sacrificing decentralization or security. Cardano is allegedly around 47,000 times more energy-effective than Bitcoin, according to some analysts.


Algorand (ALGO), founded by famous cryptographer Silvio Micali, was created with sustainability and the welfare of the earth as its top priorities. It wasn’t merely intended to upset the status quo.

A Pure Proof-of-Stake (PPoS) mechanism is the foundation of Algorand. By doing this, the energy-intensive race present in PoW systems is eliminated and every token holder is guaranteed to be able to take part in the block validation. We have a network that isn’t only decentralized and safe, but also extraordinarily energy-efficient thanks to the PPoS concept.


Hedera (HBAR), a bit of an outsider in the green cryptocurrency sector, uses the hashgraph as a special consensus mechanism. Low energy requirements and quick transaction rates are provided by this method.

Hedera’s ecological voyage, however, continues beyond its consensus mechanism. In partnership with the Crypto Climate Accord, Hedera has committed to surpassing current levels of carbon neutrality. Hedera is committed to achieving carbon neutrality through credit and offset schemes.

Hedera is possibly the most energy-efficient blockchain, as evidenced by the most recent research conducted by the University College of London Blockchain Center, which found that an average transaction only consumed 0.000003 kWh of electricity. But compared to networks such as Cardano and Solana, the Hedera network is much smaller and experiences less activity related to smart contracts, therefore it doesn’t quite have the utilization to merit the top rank.


One of the “original gangstas” of the cryptocurrency field, Ripple (XRP) was one of the first legitimate competitors of Bitcoin, having been founded by Jed McCaleb and Arthur Britto. It goes without saying that the developers worked very hard to make Ripple as environmentally friendly as they could.

Even after all these years, Ripple is still one of the greener cryptocurrencies available. The XRP Ledger escapes the onerous energy costs imposed by PoW chains because of its special consensus method.

Furthermore, Ripple has made a $100 million contribution towards a future that is environmentally friendly. To achieve the goal of making the protocol emissions-neutral by 2023, this entails establishing future carbon offsetting efforts.


In the crowded cryptocurrency space, Chia (XCH) stands out as a ray of sunshine, promoting a cutting-edge strategy for sustainability and reinventing the fundamentals of blockchain technology.

In contrast to the conventional blockchains that consume a lot of energy and depend on computer conflicts, Chia presents a novel consensus method called “proof of space and time”. By doing this, customers can use their underutilized hard drive space and do away with the requirement for gear that consumes a lot of power.

The network actively encourages its farming businesses to use renewable energy sources. XCH wants to create a community that is genuinely sustainable and environmentally friendly by promoting the use of green energy alternatives.


Placing at the end of our list, Stellar (XLM) makes use of its distinct consensus protocol, the Stellar Consensus Protocol (SCP). This process, in contrast to the energy-intensive PoW, depends on a group of validators who reach a consensus without engaging in protracted computational conflicts. A system that’s extraordinarily energy-efficient in addition to being quick and scalable.

However, Stellar’s ecological voyage extends beyond its consensus process. The network has made no secret of its support for sustainability. XLM seeks to redefine the concept of an environmentally conscious digital asset by actively supporting eco-friendly projects and lowering the overall energy footprint.

Stellar advances this goal by collaborating with a range of monetary institutions and payment gateways, guaranteeing that environmentally friendly methods are not confined to the blockchain but are additionally incorporated into practical financial solutions.

Are Blockchains Actually Environmentally Concerned?

The main complaint leveled against cryptocurrency critics is that the discussion of energy-efficient blockchains and carbon offsets is essentially a virtue-signaling social media marketing gimmick based on selective data.

Making a deliberate effort to lower their energy use is beneficial for both the industry and the environment, even if there is some truth to these claims.

Carbon offsetting demonstrates that the corporation behind a product is mindful of its impact on the environment and is working to alleviate any negative impacts, even though it doesn’t automatically make a particular form of technology more environmentally friendly.

Benefits and Drawbacks of Green Cryptos

Green cryptocurrencies are becoming a vital component of the blockchain space, telling a creative and environmentally responsible story. Let’s review the benefits and drawbacks of environmentally conscious blockchain enterprises.


  • Favorable to the environment: We’ll say it even though it sounds apparent. Environmentally friendly, or green, cryptocurrency projects contribute to the preservation and upkeep of the surrounding living ecology.
  • A smaller carbon footprint: Green cryptocurrency systems are made to use a lot less energy than traditional blockchains, which lowers their carbon footprint.
  • Monetary rewards: Green cryptocurrencies may benefit from more benevolent regulatory policies and possible tax breaks as the globe moves toward more environmentally friendly behaviors, drawing interest from investors who are concerned about sustainability.
  • More frequent use: Green cryptocurrencies have the potential to gain wider acceptance due to their environmentally sensitive attitude, which can attract a wider range of people, notably ecologically conscious investors and institutions.
  • Cutting-edge technologies: Modern consensus techniques and features are frequently included in green cryptos, which improve scalability, security, and transaction times.
  • Fights the stigma associated with crypto: The traditional argument that cryptos are hazardous to the environment will gradually fade as more green crypto initiatives come to fruition.


  • New and untested tech: Since many green cryptos are still in their infancy, they may encounter technical difficulties, errors, or vulnerabilities that will need to be fixed over time.
  • Volatility of the market: The market volatility of green cryptocurrencies, like that of all cryptocurrencies, may deter investors from making investments in cutting-edge technology.
  • Uncertainties in regulations: Regulations are subject to change, and the crypto world is always changing. Despite their benefits to the environment, green cryptos are not exempt from potential regulatory issues.

Why This Is All Important

Sustainability in the cryptocurrency field is crucial in a world where projects are chosen for investment based on their Environmental, Social, and Governance regulations, a process known as ESG Investing.